(Job)
Transcribe the whole of the block further below verbatim, please.
(Given)
+++
Record 1
Formula: C5H9NO2S
Source: the OMol25 dataset
Level of theory: ωB97M-V/def2-TZVPD

Positions of all 18 atoms, in Å:
C -1.622139 0.624420 -0.282712
C 1.768981 -1.302320 0.924149
C 1.297541 -1.377995 -0.512862
C 1.305779 0.182219 1.180443
C -2.939285 1.168194 -0.827402
N -0.589400 1.017554 -1.065180
O -1.540798 -0.122430 0.664733
O 2.199426 1.080172 -1.120958
S 1.077830 0.401033 -0.552837
H 1.191193 -1.846823 1.638775
H 2.707277 -1.504814 1.236681
H 2.107134 -1.684510 -1.110893
H 0.360721 -1.839289 -0.573163
H 0.370945 0.419491 1.696746
H 2.069285 0.900799 1.436999
H -2.712454 2.140067 -1.162418
H -3.353268 0.544462 -1.533623
H -3.698768 1.199769 -0.036479

Force components x, y, z for each atom (eV/Å):
0.35 -0.20 -1.20
-4.01 1.97 1.49
1.06 0.54 0.80
0.42 0.72 0.16
0.67 0.44 2.83
3.92 -0.26 -0.18
-0.26 -1.21 1.66
0.25 0.56 -0.89
-4.55 0.72 -0.24
-0.79 -0.94 -0.02
3.45 -0.29 -0.01
0.36 -0.57 -1.51
-1.20 -0.93 -0.62
0.29 -0.66 0.09
0.37 0.10 0.37
-0.24 1.16 -0.85
-0.50 -1.29 -2.02
0.43 0.14 0.12

Properties
orbital gap	9.9	eV

=====

Record 2
Formula: C5H9NO2S
Source: the OMol25 dataset
Level of theory: ωB97M-V/def2-TZVPD

Positions of all 18 atoms, in Å:
C 1.076791 0.603026 -1.203055
C 0.449250 0.352333 0.183158
C 0.983908 0.968400 1.410337
C 0.458262 -1.270005 0.410458
N -0.510582 -1.982761 0.073424
C -1.647313 -1.422391 -0.511674
S -1.427004 0.403478 -0.099393
O -1.647662 1.376898 -1.156036
O -1.965345 0.807570 1.175452
H 0.337341 0.565970 -2.087660
H 1.830415 -0.069935 -1.292390
H 1.427625 1.552991 -1.092060
H 1.622332 1.856277 1.012869
H 1.597925 0.319547 1.876524
H 0.204411 1.219250 1.998664
H 1.191049 -1.842609 0.884745
H -1.521030 -1.530432 -1.529041
H -2.460375 -1.907615 -0.054329

Force components x, y, z for each atom (eV/Å):
-3.78 -0.22 0.10
-2.07 -5.62 -1.79
1.72 3.44 -4.36
-1.02 2.53 -0.79
0.35 -1.55 0.38
1.33 1.78 1.63
1.19 3.11 0.65
-0.43 -1.29 -0.40
-0.67 -1.12 0.43
1.23 -0.07 1.58
2.47 -1.81 -0.78
1.25 2.78 -0.49
-1.15 -1.05 1.37
2.16 -2.08 1.70
-2.34 1.34 2.23
1.96 -0.12 0.83
-0.55 -0.09 -2.43
-1.66 0.06 0.13

Properties
structure (SMILES)	CC1(C)C=NCS1(=O)=O
orbital gap	10.2	eV


No. 1
One molecule with the formula C4H9IO2Si in a non-equilibrium geometry. Source: OMol25; level of theory: the ωB97M-V functional and the def2-TZVPD basis.

Output
- energy (hartree) = -895.51288
- SMILES = C=C[Si](I)(OC)OC
- F_max (eV/A) = 5.13
- ΔE to the lowest compared entry with this formula, charge and spin (kcal per mole) = 13.00
- LUMO level (eV) = 0.66
- frontier orbital gap (eV) = 10.18

XYZ file:
```
17
C4H9IO2Si, DFT the ωB97M-V functional and the def2-TZVPD basis
C 1.95327 1.30551 -1.42552
C 1.02143 0.46215 -1.11019
Si 0.06384 0.51847 0.75706
I 1.72952 1.35062 2.47555
O -0.42059 -0.90426 1.21808
C 0.22847 -2.10099 1.55708
O -1.22263 1.42332 0.79952
C -1.69097 2.51411 0.07384
H 2.57209 1.14293 -2.34864
H 2.28202 1.91277 -0.65196
H 0.69438 -0.25144 -1.82871
H -0.20338 -2.45842 2.56467
H 1.28586 -1.75458 1.88947
H 0.16832 -2.90216 0.70371
H -1.86083 3.28242 0.65567
H -2.64127 2.24585 -0.44596
H -1.09707 2.82647 -0.71969
```

=====

No. 2
One molecule with the formula C4H9IO2Si in a non-equilibrium geometry. Source: OMol25; level of theory: the ωB97M-V functional and the def2-TZVPD basis.

Output
- energy (hartree) = -895.53360
- SMILES = C=C[Si](I)(OC)OC
- F_max (eV/A) = 2.83
- ΔE to the lowest compared entry with this formula, charge and spin (kcal per mole) = 0.00
- LUMO level (eV) = 0.67
- frontier orbital gap (eV) = 10.21

XYZ file:
```
17
C4H9IO2Si, DFT the ωB97M-V functional and the def2-TZVPD basis
C -1.57907 1.33618 -0.56636
C -1.08263 0.23080 -1.14552
Si 0.56535 -0.45438 -0.53749
I 1.58465 -1.88017 -2.15461
O 0.17188 -1.28318 0.81837
C -1.01170 -2.02184 0.77581
O 1.95982 0.34359 -0.10952
C 2.10527 1.48281 0.70001
H -2.43992 1.85412 -0.88601
H -1.05779 1.85543 0.30400
H -1.59010 0.04849 -2.04658
H -1.13386 -2.35791 -0.27983
H -1.94448 -1.46613 1.07763
H -0.88954 -2.93499 1.42114
H 1.95976 2.37156 0.16226
+++
(Worked solution)
Record 1
Formula: C5H9NO2S
Source: the OMol25 dataset
Level of theory: ωB97M-V/def2-TZVPD

Positions of all 18 atoms, in Å:
C -1.622139 0.624420 -0.282712
C 1.768981 -1.302320 0.924149
C 1.297541 -1.377995 -0.512862
C 1.305779 0.182219 1.180443
C -2.939285 1.168194 -0.827402
N -0.589400 1.017554 -1.065180
O -1.540798 -0.122430 0.664733
O 2.199426 1.080172 -1.120958
S 1.077830 0.401033 -0.552837
H 1.191193 -1.846823 1.638775
H 2.707277 -1.504814 1.236681
H 2.107134 -1.684510 -1.110893
H 0.360721 -1.839289 -0.573163
H 0.370945 0.419491 1.696746
H 2.069285 0.900799 1.436999
H -2.712454 2.140067 -1.162418
H -3.353268 0.544462 -1.533623
H -3.698768 1.199769 -0.036479

Force components x, y, z for each atom (eV/Å):
0.35 -0.20 -1.20
-4.01 1.97 1.49
1.06 0.54 0.80
0.42 0.72 0.16
0.67 0.44 2.83
3.92 -0.26 -0.18
-0.26 -1.21 1.66
0.25 0.56 -0.89
-4.55 0.72 -0.24
-0.79 -0.94 -0.02
3.45 -0.29 -0.01
0.36 -0.57 -1.51
-1.20 -0.93 -0.62
0.29 -0.66 0.09
0.37 0.10 0.37
-0.24 1.16 -0.85
-0.50 -1.29 -2.02
0.43 0.14 0.12

Properties
orbital gap	9.9	eV

=====

Record 2
Formula: C5H9NO2S
Source: the OMol25 dataset
Level of theory: ωB97M-V/def2-TZVPD

Positions of all 18 atoms, in Å:
C 1.076791 0.603026 -1.203055
C 0.449250 0.352333 0.183158
C 0.983908 0.968400 1.410337
C 0.458262 -1.270005 0.410458
N -0.510582 -1.982761 0.073424
C -1.647313 -1.422391 -0.511674
S -1.427004 0.403478 -0.099393
O -1.647662 1.376898 -1.156036
O -1.965345 0.807570 1.175452
H 0.337341 0.565970 -2.087660
H 1.830415 -0.069935 -1.292390
H 1.427625 1.552991 -1.092060
H 1.622332 1.856277 1.012869
H 1.597925 0.319547 1.876524
H 0.204411 1.219250 1.998664
H 1.191049 -1.842609 0.884745
H -1.521030 -1.530432 -1.529041
H -2.460375 -1.907615 -0.054329

Force components x, y, z for each atom (eV/Å):
-3.78 -0.22 0.10
-2.07 -5.62 -1.79
1.72 3.44 -4.36
-1.02 2.53 -0.79
0.35 -1.55 0.38
1.33 1.78 1.63
1.19 3.11 0.65
-0.43 -1.29 -0.40
-0.67 -1.12 0.43
1.23 -0.07 1.58
2.47 -1.81 -0.78
1.25 2.78 -0.49
-1.15 -1.05 1.37
2.16 -2.08 1.70
-2.34 1.34 2.23
1.96 -0.12 0.83
-0.55 -0.09 -2.43
-1.66 0.06 0.13

Properties
structure (SMILES)	CC1(C)C=NCS1(=O)=O
orbital gap	10.2	eV


No. 1
One molecule with the formula C4H9IO2Si in a non-equilibrium geometry. Source: OMol25; level of theory: the ωB97M-V functional and the def2-TZVPD basis.

Output
- energy (hartree) = -895.51288
- SMILES = C=C[Si](I)(OC)OC
- F_max (eV/A) = 5.13
- ΔE to the lowest compared entry with this formula, charge and spin (kcal per mole) = 13.00
- LUMO level (eV) = 0.66
- frontier orbital gap (eV) = 10.18

XYZ file:
```
17
C4H9IO2Si, DFT the ωB97M-V functional and the def2-TZVPD basis
C 1.95327 1.30551 -1.42552
C 1.02143 0.46215 -1.11019
Si 0.06384 0.51847 0.75706
I 1.72952 1.35062 2.47555
O -0.42059 -0.90426 1.21808
C 0.22847 -2.10099 1.55708
O -1.22263 1.42332 0.79952
C -1.69097 2.51411 0.07384
H 2.57209 1.14293 -2.34864
H 2.28202 1.91277 -0.65196
H 0.69438 -0.25144 -1.82871
H -0.20338 -2.45842 2.56467
H 1.28586 -1.75458 1.88947
H 0.16832 -2.90216 0.70371
H -1.86083 3.28242 0.65567
H -2.64127 2.24585 -0.44596
H -1.09707 2.82647 -0.71969
```

=====

No. 2
One molecule with the formula C4H9IO2Si in a non-equilibrium geometry. Source: OMol25; level of theory: the ωB97M-V functional and the def2-TZVPD basis.

Output
- energy (hartree) = -895.53360
- SMILES = C=C[Si](I)(OC)OC
- F_max (eV/A) = 2.83
- ΔE to the lowest compared entry with this formula, charge and spin (kcal per mole) = 0.00
- LUMO level (eV) = 0.67
- frontier orbital gap (eV) = 10.21

XYZ file:
```
17
C4H9IO2Si, DFT the ωB97M-V functional and the def2-TZVPD basis
C -1.57907 1.33618 -0.56636
C -1.08263 0.23080 -1.14552
Si 0.56535 -0.45438 -0.53749
I 1.58465 -1.88017 -2.15461
O 0.17188 -1.28318 0.81837
C -1.01170 -2.02184 0.77581
O 1.95982 0.34359 -0.10952
C 2.10527 1.48281 0.70001
H -2.43992 1.85412 -0.88601
H -1.05779 1.85543 0.30400
H -1.59010 0.04849 -2.04658
H -1.13386 -2.35791 -0.27983
H -1.94448 -1.46613 1.07763
H -0.88954 -2.93499 1.42114
H 1.95976 2.37156 0.16226